Point: Trump

The politicians from both parties are owned by the same group of wealthy special interests. These bipartisan wealthy special interest groups actually receive the vast majority of tax dollars. The politicians use half-assed trickery to keep us divided over wedge issues like abortion or universal healthcare, as if an allegedly more or less efficient health care system has more of an effect on everyday people’s finances than the fact that we are all slaving away and paying so much taxes to fund Big Oil, the prison industry, the military industry, and the likes of terrorist-creating Saudi Arabia and Halliburton, regardless of which party wins. Both parties work for the same people and use their vast campaign contributions to play the constituents like pawns.

This isn’t crazy tinfoil hat stuff. When asked, almost any journalist would acknowledge it, and even the politicians themselves acknowledge it. Money controls politics. That’s not a conspiracy theory. The inertia of the system is indeed so strong that it doesn’t require some kind of ridiculous super-secrecy. Rather, it’s as simple and open as when you or I choose to buy shoes that are 10 cents less expensive even though the reason the shoes are less expensive is because those shoes were made by child slaves. Politicians aren’t different from us. They are just like us. That’s the problem. We–all of us–are the problem. Trust in authority is foolish and dangerous.

I have made a few posts criticizing Donald Trump. I think his proposals are horrendous. However, it’s very understandable why many people would support him: He’s a non-establishment candidate.

We are used to getting slapped hard on one certain side of our face every day by the bipartisan establishment. Trump is proposing to slap us on the other side of our face instead. Some people support him because they are sick of getting slapped on the first side of their face. I don’t think that’s a solution, but neither is sticking with the status quo. I think those who support Trump are foolish to support him, but I feel the same about anyone who supports any establishment candidate too. Any candidate who has to raise millions or billions of dollars just to be a plausible candidate is inherently an establishment candidate. Donald Trump is only able to sneak his alternative brand of crazy into the mix as opposed to the crazy status quo because he has a lot of money.

When watching the following video, remember just-as-crazy-as-Trump politicians like these from both parties are the people who decide which Americans are the millions of human beings who end up in prison for things like marijuana. They decide who pays taxes and how much. They decide how many hours you have to work each week just to pay for this. A lot of people have opinions about welfare; politicians like these from both parties are responsible for the fact that the vast majority of welfare is in the form of corporate welfare which goes to wealthy special interests who hand a cut of the money right back to the politicians. Say what you want about giving to the poor; that’s simply not where most of the taxes go.

The video focuses on a particular wedge issue and thus deals a lot more with Republicans and Trump. But I assure you Democrats are just as bad and just as frequently use equally idiotic arguments to play us like pawns over their wedge issues. The irony is that without the politicians’ idiotic contributions to the public debate we almost all agree even on the wedge issues, demonstrated in regard to abortion here.

What’s most relevant to everything I said above is that in this video I have to give the point to Donald Trump.

Point: Trump. Establishment candidates are just as awful as Trump; we’re merely accustomed to their awfulness. We’re equally as foolish to support establishment candidates as to support Trump. We’re equally foolish to support either the Democrats or the Republicans at all as we would be to be a Trump-supporter. The instinct to go for the allegedly lesser of two evils is why the wedge issues work and is why so many people support Trump.

## Inserted here: data records
/*
1.
Diffraction record for NaPm2PaN4. The X-ray diffraction stick pattern is theoretical, not measured: it uses DFT lattice parameters and positions (PBE) and Cu Ka.
Intensities are scaled so that the largest is 100.

Crystal structure
Unit cell a=6.0927 b=3.6285 c=6.1115 alpha=90.00 beta=107.80 gamma=90.00
Fractional coordinates of all 8 atoms:
Na (0.0000, 0.0000, 0.0000)
Pm (0.0000, 0.5000, 0.5000)
Pm (0.5000, 0.0000, 0.5000)
Pa (0.5000, 0.5000, 0.0000)
N (0.2581, 0.0000, 0.7496)
N (0.3028, 0.5000, 0.2407)
N (0.6972, 0.5000, 0.7593)
N (0.7419, 0.0000, 0.2504)

Main lines, by angle (2θ = 15–90°):
d = 5.802 Å, 2θ = 15.3°, rel. 49; d = 2.922 Å, 2θ = 30.6°, rel. 97; d = 2.905 Å, 2θ = 30.8°, rel. 96; d = 2.554 Å, 2θ = 35.1°, rel. 100; d = 2.465 Å, 2θ = 36.4°, rel. 44; d = 1.776 Å, 2θ = 51.5°, rel. 33; d = 1.772 Å, 2θ = 51.6°, rel. 32; d = 1.539 Å, 2θ = 60.1°, rel. 31



2.
Diffraction record for Na4PrPa3N8. The X-ray diffraction stick pattern is theoretical, not measured: it uses DFT lattice parameters and positions (PBE) and Cu Ka.
Intensities are scaled so that the largest is 100.

Crystal structure
Unit cell a=7.0785 b=7.0785 c=7.0579 alpha=118.63 beta=118.63 gamma=60.79
Fractional coordinates of all 16 atoms:
Na (0.0000, 0.0000, 0.0000)
Na (0.0000, 0.5000, 0.5000)
Na (0.5000, 0.0000, 0.5000)
Na (0.5000, 0.5000, 0.0000)
Pr (0.0000, 0.0000, 0.5000)
Pa (0.0000, 0.5000, 0.0000)
Pa (0.5000, 0.0000, 0.0000)
Pa (0.5000, 0.5000, 0.5000)
N (0.2407, 0.2407, 0.7938)
N (0.2439, 0.7058, 0.2623)
N (0.2660, 0.2660, 0.2260)
N (0.2942, 0.7561, 0.7377)
N (0.7058, 0.2439, 0.2623)
N (0.7340, 0.7340, 0.7740)
N (0.7561, 0.2942, 0.7377)
N (0.7593, 0.7593, 0.2062)

Main lines, by angle (2θ = 15–90°):
d = 5.722 Å, 2θ = 15.5°, rel. 100; d = 3.084 Å, 2θ = 28.9°, rel. 20; d = 3.057 Å, 2θ = 29.2°, rel. 38; d = 2.929 Å, 2θ = 30.5°, rel. 67; d = 2.861 Å, 2θ = 31.3°, rel. 23; d = 2.538 Å, 2θ = 35.4°, rel. 24; d = 2.513 Å, 2θ = 35.7°, rel. 46; d = 2.307 Å, 2θ = 39.0°, rel. 23



3.
Diffraction record for NaPa2RhN4. The X-ray diffraction stick pattern is theoretical, not measured: it uses DFT lattice parameters and positions (PBE) and Cu Ka.
Intensities are scaled so that the largest is 100.

Crystal structure
Unit cell a=5.1609 b=5.1609 c=5.1609 alpha=111.74 beta=111.74 gamma=105.02
Fractional coordinates of all 8 atoms:
Na (0.0000, 0.0000, 0.0000)
Pa (0.2500, 0.7500, 0.5000)
Pa (0.7500, 0.2500, 0.5000)
Rh (0.5000, 0.5000, 0.0000)
N (0.2011, 0.6821, 0.0000)
N (0.3179, 0.3179, 0.5190)
N (0.6821, 0.2011, 0.0000)
N (0.7989, 0.7989, 0.4810)

Main lines, by angle (2θ = 15–90°):
d = 4.095 Å, 2θ = 21.7°, rel. 52; d = 2.896 Å, 2θ = 30.9°, rel. 61; d = 2.492 Å, 2θ = 36.0°, rel. 100; d = 2.129 Å, 2θ = 42.5°, rel. 24; d = 2.048 Å, 2θ = 44.2°, rel. 33; d = 1.831 Å, 2θ = 49.8°, rel. 13; d = 1.582 Å, 2θ = 58.3°, rel. 50; d = 1.380 Å, 2θ = 67.9°, rel. 16



4.
*/

Your lesser than two evils might be different than mine. We cannot afford to continue to be divided and conquered.

What do you think? Please leave a comment below.

New England Police Union Endorses Trump

Police Union Endorses Trump
Donald Trump with Jerry Flynn, president of the New England Police Benevolent Association.

It looks like the New England police union (NEPBA) will endorse Trump.1

In other unrelated news, my New England home state of Connecticut spends billions of taxpayer dollars hunting down and locking up peaceful people for things like marijuana or–coming soon–just being Muslim.

Which is worse: being Muslim or being a pacifist smoking a joint?

Maybe neither is the problem? Maybe supporting violence against peaceful people is the problem? What do you think Trump would answer? Why do so many people hear his answers and support him? Why is he the front-runner of the Republican party? These aren’t rhetorical questions; post your answer as a comment.

Seriously, how much can we afford to spend on things like hypothetical alcohol prohibition, actual marijuana prohibition, and hypothetical religion-banning when 18,000 children starve to death every day? How can we afford it when plenty of children right here in the USA suffer poverty-induced malnourishment and substandard education?

How can we afford it when so many terrorist attacks occur in the USA, the vast majority committed by Christian white males?

What do you think? I really want to know. 🙂 Please post your answer as a comment.

Update ~ December 11, 2015 ~ It’s official. The New England Police Union has endorsed Trump.2 Comment Now

On Culture Shock and Waste by A. Lynn Powers

For the past 5+ years, I have made my home in Japan. I started my adventure in a very conservative, rural area filled with traditional Japanese customs, and eventually I settled into a fast-paced metropolitan lifestyle in the suburbs of Tokyo. Language barriers aside, you can imagine that I have experienced more than my fair share of culture shock.

About once a year, I return to my hometown in Memphis, Tennessee, to visit with family and re-convince them that I am perfectly fine living on my own in a foreign land. I laugh off attempts at guilt trips and make excuses as to why I need to stay in Japan just one more year. Or two.

The truth is: when I go back to America, I feel more culture-shocked than when I am in Japan, and it all revolves around one thing.


I am appalled at how wasteful Americans are. I don’t mean to stereotype or generalize here, but I’m seriously speaking from what I have witnessed with my own two eyes. Americans are wasteful.

Think about it. How much food do you purchase or prepare that ends up in the trash? How often do you order an extra large drink from the drive-thru only to pour out half of its watered-down remains? When you eat at a restaurant, how much food goes untouched on your plate? Do you always take home your leftovers? If you do, how often do you really eat them?

In Japan, it is customary to eat everything given to you at a meal. There are no such things as “doggie-bags” or “take-out boxes” in restaurants because no one ever leaves any leftovers. Yes, the portion sizes are smaller, but only to reduce wasting food that can’t be eaten at the meal.

I also once witnessed a waitress refuse to accept a young girl’s order because she didn’t believe that the girl would be able to eat it all. The girl simply replied, “Oh, right.” And then ordered something more size-appropriate for her petite frame.

In some all-you-can-eat restaurants/buffets, patrons are charged an additional fee if they put food on their plates and do not eat it. I’m not even kidding. I can’t imagine that would go over well in the US.

I could expand into other categories as well. Clothing. Fuel. Electricity. Bath water. But it’s the food that gets me the most. I feel physically ill watching all that food being thrown in the trash without a second thought, and the Japanese word mottainai [“What a waste!”] screams inside my head. If Scott were writing this, he might point out how 18,000 children die every year from hunger. Yet here we are, throwing away however many pounds of food a day just because our eyes are bigger than our stomachs.

Yes, we need food to survive. But how much do we really need?

Not as much as we take, that’s for sure.

I agree with Dick Cheney?

I am pretty cynical when it comes to all politicians, especially one from either the Democrat or Republican party since both parties are each by billions of dollars in the payroll of Big Oil, just for one example of the bipartisan powers that be. Dick Cheney, a warmongering politician who through conflicts of interest such as Halliburton profits from war, is no exception to my cynicism. That’s why it might be surprising that I confidently agree with him on something. Take a look:


Donald Trump is now calling for “a total and complete shutdown of Muslims entering the United States”. That’s an actual quote from his campaign statement.1


Dick Cheney on banning Muslims
Dick Cheney on banning Muslims

What do you think? With whom do you agree on this matter and why? Respond

The unfortunate Arabs

Guest post by Sheeraz Khan, author of The World Is In Me

First thing what comes to my mind when I think of Arab world is Dubai or Kuwait. What it would be like going to a place where the definition of Heaven on Earth defines. Where an average citizen not only drives in Ferrari but also has a lion or tiger pub as a pet. Women are compared to Angels especially their ferocious eyes are no less than hypnotizing and driving a Hummer car in desert will leave you with feeling that you conquered the world.

It’s always magical to have a visit to the place which turned itself into world’s most developed city(Dubai) from being just a desert or a land known just for selling dates and camels to the outsiders. Coming back home from the ‘bright side’ of Arab leaves you with a feeling that life is beautiful and you wish what if your whole life is just like this. Having a business not with many risks, sufficient money to feed your generations to come, 3 or 4 beautiful wives among whom no one having trouble with another one because you treat them equally, luxurious cars, villas, polo and what not. Just Google for the image of an arab stud or a beautiful women, seeing their face itself gives you an instinct idea like.. . what if having a life like that or you wonder how crazy they enjoy their routine life in a buffet way.

But just like every coin has the other side as well the other side of arab is not this lavish. Forget lavish it’s a battle surviving every day. Leaving Dubai might give you ecstacy but leaving Syria or Palestine wont let you stop wondering that life is a nightmare.

Putting aside whatever the government decisions were from the western side or the Arab rulers deciding their own people fate, whatever happening in the dark side of Arab world is no less than a war against innocent people. Did they ever wanted any of this? Did they imagine that their children one day will have to see a situation where they’ll be leaving their homes, there everything where they grew up and dreamed of living a normal life and fly away to other countries as refugees with no guarantee for their future or their own life. Whoever is responsible which I seriously don’t want to know because there ain’t any conclusion but onething I know is that the common people are suffering for food and basic requirements. The governments blame one another and ISIS is doing everything they would have done to spread terror sometimes I wonder is ISIS having more weapons than U.S and Russia or is it there terror mind turned more confident and brave than our leaders.

We have fallen to an extent where people want to give up religious faith because it is no more considered good to believe in someone helping us from above the skies (nothing is worst than losing faith in something beyond creation) because they think it is the root cause for all human destruction.
We send funds and charity organizations do their best to feed the hungry mankind living in fear. Celebrities and rich people sitting in royalty send millions but I don’t think it will solve the problem unless we succeed in realizing the one who is responsible behind all the chaos happening. If we don’t do that surely a day will come when we’ll be feeling sorry for not doing something useful at right time.

We believed in God when we wanted something for ourselves or our loved ones and took it for granted now that we are seeing someone behind the masks destructing humanity we are considering God’s religion to be a root cause for destruction of world peace (such a shame).
Did’nt you ever feel like there are people in our society who are using religion or democracy as a shield to satisfy their egoistic or satanic (dirty mind) needs?

May be its time that we should start blaming them just like if am a bad man its because I choose to be bad but not because of my parents similarly, lets blame the one who is trying to divide us not the religion or human values which are meant to unite us. See the difference


Books by Sheeraz Khan

The World Is In Me ~ View on Bookshelves | View on Amazon

The Road to Illness

Guest post by Andrew James Archer, author of Pleading Insanity

I think one of the main reasons American’s mental health is so impoverished has to do with the dominant perception on “mental illness” being similar to physical diseases or infections. We are culturally dependent on psychotropic medications partially due to viewing “mental illness” as an external concept or a tangible and separate entity from the individual.

Consider aspects of the website for the National Alliance on Mental Illness (NAMI). It lists a series of disorders (e.g., ADHD, Autism, Bipolar Disorder, Borderline Personality Disorder, Depression, OCD, PTSD, Schizophrenia, etc.) under the column heading “Mental Illness.”

The website defines “mental illness” as “a condition that impacts a person’s thinking, feeling or mood and may affect his or her ability to relate to others and function on a daily basis.”

This implies that the “condition” is separate from the individual and has an impact on how they are able to function.

As a psychotherapist, I frequently hear people describe their experience using diagnostic language. It is common for someone to say “my ADHD” or “my depression” or “my bipolar” that is the culprit for how they feel and behave.

The NAMI site goes on to say that mental health conditions “go beyond these emotional reactions and become something longer lasting.” The description did not offer a specific differentiation from emotional responses and disorders, but it notes that these are “medical conditions that cause changes in how we think and feel and in our mood.”

Think about this for a second.

Imagine you have a disease. You need to go to an established practitioner in order to confirm the diagnosis. The diagnosis is based on a set of criteria (i.e., symptoms). Once this is verified, an intervention is presented.

The intervention is meant to address the symptoms of the disease for eventual elimination.

Now, imagine this process as a road. Within the road you have these three paths: the disease, the illness and the intervention.

At some point, the intervention is supposed to relieve the symptoms and if you do not have symptoms then the disease is gone. There is no longer a need for the intervention. However, with mental health concerns there is no clear disease.

There are no objective medical tests such as blood draws or brain scans that are able to identify “mental illness.” Instead, practitioners are forced to discern and interpret subjective experience while formulating a diagnosis. In fact, one cannot even identify the mind scientifically. Oxidation levels in various areas of the brain are detectable, which tend to represent thoughts, but the actual mechanism for how neuronal firings create the mind is a mystery.

What we are able to do is correlate brain activity with perceived mental states (usually constructed in research laboratories).
Without a tangible test, it is not clear the trajectory of the course. And, if you take away the intervention and symptoms resurface, it could be interpreted as: (a) the disease was never cured (b) that the intervention was working or (c) the intervention created a disturbance. This uncertainty around cause and effect is the chink in Psychiatry’s armor.

For example, say Joe is depressed and is prescribed an antidepressant medication. Joe’s ostensible disease is “depression” and the symptoms are what make up the criteria for a major depressive episode (e.g., pervasive sadness, insomnia, anhedonia, etc.). The intervention is the antidepressant medication. If the person has less symptoms of depression while taking the medication then the intervention tends to confirm the disease (i.e., the person was depressed). Now that the person is no longer experiencing symptoms of depression, one avenue to travel could be titrating off the medication.

However, if depression symptoms return after the titration, Joe is left with a tricky interpretation.

Are the symptoms returning because the person “needs” the medication? Is this a return of the “disease”? In other words, does the return of symptoms seemingly confirm that the person needed the medication?

Another scenario is that the intervention (e.g., the antidepressant) creates a dependency over time. The idea that the brain starts to compensate for alterations in serotonergic pathways (i.e., from SSRI medication). The imbalances due to these changes leads to a more chronic course of depression that builds immunity to medicinal cures.

-- Here the text breaks off for crystal structures --
/*
(1)
Theoretical powder diffraction line list of LiSc4Zn2 for Cu Ka, from a PBE-relaxed structure.
Neutral-atom scattering factors, no anomalous dispersion.

Cell and atoms:
```
data_LiSc4Zn2
_symmetry_space_group_name_H-M 'P 1'
_symmetry_Int_Tables_number 1
_symmetry_space_group_name_Hall 'P 1'
_cell_length_a 7.9940
_cell_length_b 7.9940
_cell_length_c 7.9940
_cell_angle_alpha 34.41
_cell_angle_beta 34.41
_cell_angle_gamma 34.41
loop_
_atom_site_label
_atom_site_fract_x
_atom_site_fract_y
_atom_site_fract_z
Li1 0.0000 0.0000 0.0000
Sc1 0.1325 0.1325 0.1325
Sc2 0.3865 0.3865 0.3865
Sc3 0.6135 0.6135 0.6135
Sc4 0.8675 0.8675 0.8675
Zn1 0.2576 0.2576 0.2576
Zn2 0.7424 0.7424 0.7424
```

Peak list (12 most intense, 2θ = 10–80°, in order of falling intensity)
d 2.365, I 100
d 2.321, I 77
d 3.849, I 61
d 1.657, I 25
d 1.357, I 25
d 2.001, I 24
d 3.757, I 23
d 1.365, I 15
d 2.531, I 13
d 2.015, I 10
d 1.268, I 10
d 1.719, I 8

=====

(2)
Theoretical powder diffraction line list of LiZr2Sc2 for Cu Ka, from a PBE-relaxed structure.
Neutral-atom scattering factors, no anomalous dispersion.

Cell and atoms:
```
data_LiZr2Sc2
_symmetry_space_group_name_H-M 'P 1'
_symmetry_Int_Tables_number 1
_symmetry_space_group_name_Hall 'P 1'
_cell_length_a 8.5727
_cell_length_b 8.5727
_cell_length_c 3.3561
_cell_angle_alpha 90.00
_cell_angle_beta 90.00
_cell_angle_gamma 90.00
loop_
_atom_site_label
_atom_site_fract_x
_atom_site_fract_y
_atom_site_fract_z
Li1 0.0000 0.0000 0.0000
Li2 0.5000 0.5000 0.0000
Zr1 0.1203 0.3797 0.0000
Zr2 0.3797 0.8797 0.0000
Zr3 0.6203 0.1203 0.0000
Zr4 0.8797 0.6203 0.0000
Sc1 0.1739 0.6739 0.5000
Sc2 0.3261 0.1739 0.5000
Sc3 0.6739 0.8261 0.5000
Sc4 0.8261 0.3261 0.5000
```

Peak list (12 most intense, 2θ = 10–80°, in order of falling intensity)
d 2.525, I 100
d 6.062, I 79
d 2.711, I 29
d 2.378, I 26
d 1.940, I 21
d 2.143, I 18
d 3.834, I 16
d 1.438, I 12
d 2.936, I 11
d 1.806, I 11
d 1.503, I 10
d 1.371, I 9

=====

(3)
Theoretical powder diffraction line list of LiSe5 for Cu Ka, from a PBE-relaxed structure.
Neutral-atom scattering factors, no anomalous dispersion.

Cell and atoms:
```
data_LiSe5
_symmetry_space_group_name_H-M 'P 1'
_symmetry_Int_Tables_number 1
_symmetry_space_group_name_Hall 'P 1'
_cell_length_a 12.7515
_cell_length_b 3.5193
_cell_length_c 8.9606
_cell_angle_alpha 90.00
_cell_angle_beta 125.13
_cell_angle_gamma 90.00
loop_
_atom_site_label
_atom_site_fract_x
_atom_site_fract_y
_atom_site_fract_z
Li1 0.0000 0.0000 0.0000
Li2 0.5000 0.5000 0.0000
Se1 0.0490 0.0000 0.7569
Se2 0.0503 0.5000 0.3379
Se3 0.2020 0.5000 0.2625
Se4 0.3596 0.0000 0.0455
Se5 0.3951 0.0000 0.5427
Se6 0.5490 0.5000 0.7569
Se7 0.5503 0.0000 0.3379
Se8 0.7020 0.0000 0.2625
Se9 0.8596 0.5000 0.0455
Se10 0.8951 0.5000 0.5427
```

Peak list (12 most intense, 2θ = 10–80°, in order of falling intensity)
d 4.427, I 100
d 3.270, I 62
d 2.731, I 52
d 2.844, I 51
d 3.145, I 45
d 2.473, I 38
d 2.267, I 36
d 2.415, I 33
d 7.328, I 33
d 3.335, I 30
d 2.065, I 27
*/

This would be considered an iatrogenic process, whereby the treatment or intervention relates to the actual illness it is trying to eradicate. The road to a cure begins to look like a circular track or habitual pattern.

And if that is true, then we might all soon be sick.


Books by Andrew James Archer

Pleading Insanity ~ View on Bookshelves | View on Amazon